Estate Planning Terminology
Accumulation Trust
A trust that may pay out its income currently or accumulate it for distribution in a future year.
Adjusted Basis
The taxpayer’s cost basis of an asset reduced by depreciation or depletion deductions taken, for income tax purposes.
Alternative Valuation Date
A date (other than death) to value all of an estate’s assets. Usually, the Alternative Valuation Date is six months after the date of death, but if estate assets have been disposed of within those six months, then it is the date of such disposition.
Annuity Interest
A fixed annual payment for one’s lifetime or a term for years. Usually in estate planning this is referred to in regards to a specific type of trust, such as a charitable remainder annuity trust. See also “Private Annuity.”
The person authorized to represent the principal under a power of attorney.
The amount representing the taxpayer’s cost of an asset, against which any amount realized on its sale or other disposition is compared to determine the amount of taxable gain, if any, and which may be depreciated, if the asset is depreciable.
Beneficiary-owned Sub-S Corporation Trust
A trust that owns stock in one or more Sub-S corporations, and that may do so without jeopardizing the corporation’s special tax status, because the trust is treated as owned entirely by someone other than its Grantor.
Buy-Sell Agreement
A contract or provision in corporate documents or a partnership agreement under which one or more persons or entities (the partnership or the corporation) agree to buy the interests of the other parties to the agreement, at certain times (usually in lieu of other lifetime sales or transfers and at death), at a stated price and on stated terms.
Capital Gains
Gains recognized from the sale or exchange of capital assets (most property other than inventory and certain specifically excluded types of assets).
Charitable Lead Trust
A charitable trust under which the charity receives an annuity interest (a fixed dollar amount, or a percentage (at least 5 percent) of the annual or initial value of the trust assets), for a term of years, after which a non-charitable person or group receives the remainder interest.
Charitable Remainder Annuity Trust
A charitable remainder trust under which the non-charitable income interest is expressed as a fixed dollar amount or percentage (at least 5 percent) of the initial value of the trust assets, and which does not permit subsequent additions.
Charitable Remainder Trust
A trust under which an individual or group of individuals receives an income or annuity interest for life or a term of years, and a charity receives the remainder interest thereafter.
Closely-Held Corporation
A corporation, the stock of which is owned by relatively few persons (often under thirty-five), rather than being subject to public trading.
Community Property
A concurrent ownership of property between spouses under the law of some states under which each spouse owns an undivided one-half interest in all property acquired during the marriage (often with specific exceptions).
Complex Trust
A trust that does not have to distribute all of its income currently, makes a charitable distribution, or distributes principal and so is treated differently for federal income tax purposes.
Concurrent Ownership
The ownership of property by more than one person at the same time. Takes the form of community property, tenancy by the entirety, tenancy in common, or joint tenancy. Concurrent ownership also carries rights to receive property outside of a will or trust, so avoiding probate, but also causing the terms of the will or trust to be overridden on transferring assets at death. It is one of the most common sources of disputes between heirs.
Controlled Corporation
A corporation, the majority of the stock of which is owned by one or a very few persons.
Cross-Purchase Agreement
A Buy-Sell Agreement under which the other partners or stockholders agree to buy the interest of a deceased or transferring partner or stockholder. Distinguished from a Redemption Agreement.
### Misplaced calculated crystals
┌──
Record 1
{
  "formula": "LuHfGaFe",
  "functional": "PBE",
  "state": "optimized geometry",
  "magnetic_moment_mub_per_cell": 0.85,
  "sg": "F-43m (216)",
  "e_tot_ev_per_atom": -6.73,
  "e_form_kcal_per_mol_atoms": -5.480,
  "dos_ef_per_ev_fu": 2.8,
  "lattice_angstrom": [[-3.9475, -0.6956, 2.4422], [0.0661, -2.6773, 3.8547], [-0.5190, 1.9645, 4.2311]],
  "species": ["Lu", "Hf", "Fe", "Ga"],
  "fractional_positions": [[0.0000, 0.0000, 0.0000], [0.5000, 0.5000, 0.5000], [0.2500, 0.2500, 0.2500], [0.7500, 0.7500, 0.7500]]
}

=====

Record 2
{
  "formula": "TlZn2Os",
  "functional": "PBE",
  "state": "optimized geometry",
  "magnetic_moment_mub_per_cell": 0.00,
  "sg": "P2/m (10)",
  "e_tot_ev_per_atom": -3.67,
  "e_form_kcal_per_mol_atoms": 8.549,
  "dos_ef_per_ev_fu": 2.6,
  "lattice_angstrom": [[3.1095, 0.0000, 0.0000], [0.0000, 3.1205, 0.0340], [0.0000, 3.3387, 7.6446]],
  "species": ["Os", "Tl", "Zn", "Zn"],
  "fractional_positions": [[0.5000, 0.2500, 0.2500], [0.5000, 0.7500, 0.7500], [0.0000, 0.9515, 0.0660], [0.0000, 0.5485, 0.4340]]
}

=====

Record 3
{
  "formula": "ScZn5Cu2",
  "functional": "PBE",
  "state": "optimized geometry",
  "magnetic_moment_mub_per_cell": 0.00,
  "sg": "Immm (71)",
  "e_tot_ev_per_atom": -2.78,
  "e_form_kcal_per_mol_atoms": -3.848,
  "dos_ef_per_ev_fu": 2.6,
  "lattice_angstrom": [[3.0548, 0.0000, 0.0000], [1.5274, 6.3774, 0.1000], [1.5274, 1.2700, 6.2504]],
  "species": ["Sc", "Zn", "Zn", "Zn", "Zn", "Zn", "Cu", "Cu"],
  "fractional_positions": [[0.0000, 0.0000, 0.0000], [0.0000, 0.5000, 0.5000], [0.6361, 0.5842, 0.1435], [0.3639, 0.4158, 0.8565], [0.3639, 0.8565, 0.4158], [0.6361, 0.1435, 0.5842], [0.7438, 0.7562, 0.7562], [0.2562, 0.2438, 0.2438]]
}

=====

Record 4
{
  "formula": "La2ErAs4Rh3",
  "functional": "PBE",
  "state": "optimized geometry",
  "magnetic_moment_mub_per_cell": 0.00,
  "sg": "P-4m2 (115)",
  "e_tot_ev_per_atom": -6.55,
  "e_form_kcal_per_mol_atoms": -23.998,
  "dos_ef_per_ev_fu": 4.3,
  "lattice_angstrom": [[4.3618, 0.0000, 0.0000], [0.0000, 4.3618, 0.0000], [0.0000, 0.0000, 10.8728]],
  "species": ["La", "La", "Er", "As", "As", "As", "As", "Rh", "Rh", "Rh"],
  "fractional_positions": [[0.5000, 0.0000, 0.2234], [0.0000, 0.5000, 0.7766], [0.5000, 0.5000, 0.5000], [0.5000, 0.5000, 0.0000], [0.0000, 0.0000, 0.0000], [0.5000, 0.0000, 0.6598], [0.0000, 0.5000, 0.3402], [0.0000, 0.0000, 0.5000], [0.5000, 0.0000, 0.8907], [0.0000, 0.5000, 0.1093]]
}

=====

Record 5
{
  "formula": "Sc2In2Rh3",
  "functional": "PBE",
  "state": "optimized geometry",
  "magnetic_moment_mub_per_cell": 0.00,
  "sg": "C2/m (12)",
  "e_tot_ev_per_atom": -6.49,
  "e_form_kcal_per_mol_atoms": -17.135,
  "dos_ef_per_ev_fu": 3.5,
  "lattice_angstrom": [[4.3797, -0.0079, -1.2193], [-2.3657, 3.8872, 0.0026], [-0.1899, -0.1051, 7.7527]],
  "species": ["Sc", "Sc", "In", "In", "Rh", "Rh", "Rh"],
└──
Crummey Trust
A power granted an individual under a trust instrument, whereby the individual can, for a limited period following any gift to the trust (usually thirty through ninety days), withdraw all or some stated portion of the gift. The power is used to make gifts to the trust present interests qualifying for the annual gift tax exclusion.
Defective Trust
A trust that is taxed as a Grantor Trust, usually because of a power inserted specifically to achieve this result, as with some life insurance trusts.
Depreciation Deduction
An income tax deduction for the wear, tear, and obsolescence of business and investment assets having a useful life.
Direct Skip Gift
A gift to the Grantor’s grandchild or other person assigned to a similar or more remote generation (see “Skip Person”), upon which a Generation-Skipping Transfer Tax may be imposed.
Durable Power of Attorney
A Power of Attorney that does not end on the disability of the principal. Authorized in every state, but not in the District of Columbia.
Family Attribution Rules
Several tax rules under which stock or other interests owned by one family member are treated as owned by another family member, thereby limiting the possible techniques available to transfer assets from one generation to another that will work for unrelated parties, but are not available for family members.
Family Partnership
A partnership in which one or more partners receive their interests by gifts from other partners.
Generation-Skipping Transfer
A transfer to a grandchild or other individual who is at least two generations below that of the Grantor, or to a trust for the benefit of such individuals, upon which a Generation-Skipping Transfer Tax may be imposed.
Generation-Skipping Transfer Tax
A tax imposed on a Generation-Skipping Transfer.
A Grantor’s making of a gift as to which the Grantor’s spouse elected on a timely gift tax return (filed on or before April 15 of the year after the gift is made) to be treated as the Grantor of one-half of the gift, thus enabling the use of the Grantor’s spouse’s Unified Credit and annual gift tax exclusion.
The person treated as the creator of a trust.
Grantor Retained Annuity Trust
A trust under which the Grantor retains an annuity interest for a term of years, followed by a transfer of the trust funds to the named individual or individuals.
Grantor Retained Income Trust
A trust under which the Grantor retains an income interest for a term of years, followed by a transfer of the trust funds to the named individual or individuals.
Grantor Trust
A trust that is treated as owned, in whole or in part, by its Grantor. Because the Estate Tax Code and Gift Tax Code are separate from the Income Tax Code, it is possible to have a trust that is income taxable to the Grantor (and from which the Grantor can receive payments) but is excluded from the Grantor’s estate.
This is a more extensive and more generalized form of legal delegation, because it usually involves the care and maintenance of a living person and covers an unknown set of future circumstances over an unknowable period of time. As a result, the attorney is given much more flexible powers than those involved with an Executorship.
Holding Period
The length of time a taxpayer is deemed to have held an asset. This is important in distinguishing between long-term and short-term capital gains.
Irrevocable Trusts
In an irrevocable trust all rights to the property transferred to the trust are given up. The basic difference between an inter vivos trust and an outright gift is that the former provides the beneficiary with competent property management and with protection from himself and others who might misuse or waste the gift. Since outright gifts and irrevocable trusts differ only in terms of control over and protection of the beneficiary, the tax consequences are basically the same.
Installment Gift
A gift made by selling property on the installment basis (receiving a note calling for a series of installment payments) and forgiving the payments annually.
Installment Sale
A sale in which the seller receives a note calling for a series of installment payments, rather than a sale wholly for cash.
Joint Tenancy
A type of concurrent ownership under which each owner owns an undivided interest in the whole property, and when one owner dies, the surviving joint owner(s) succeed to his or her interest.
Personal Holding Company
A closely-held corporation that primarily serves to own the stock of other corporations.
Pick-up Tax
A state death tax measured by the allowable federal estate tax credit for state death taxes.
Power of Appointment
A right held by one person to designate who shall possess or enjoy property that person does not own. For example, a trust may give an income beneficiary (such as a surviving spouse) the right to designate the remainder of the trust assets at the end of the Trust to a specified class of beneficiaries, such as “among my children.” Estate and gift taxations are governed by ยงยง 2041 and 2514.
Power of Attorney
A document authorizing one person to represent another in specified transactions.
Private Annuity
The sale, usually by one family member to another, of property or the payment of money in exchange for an agreement to make a stated periodic payment, e.g., weekly, monthly,annually, for the rest of the seller’s life.
Qualified Conservation Contribution
A gift, deductible for income tax purposes, of a remainder interest or perpetual restriction for any of the following charitable purposes: 1.) preserving land areas for outdoor recreation by the general public; 2.) preserving land areas for education of the general public; 3.) protecting in a relatively natural habitat fish, wildlife, plants, or similar ecosystems; 4.) preserving open space for scenic enjoyment; or 5.) preserving an historically important land area or certified historic structure.
Qualified Payment
A right to a fixed and cumulative distribution with respect to preferred stock or a partnership interest, the value of which is taken into account in determining the value of a transferred interest in the same enterprise, under the special valuation rules.
Qualified Subchapter-S Trust (QSST)
A trust that, because it meets certain requirements, may be a shareholder of a Sub-S Corporation.
Redemption Agreement
A Buy-Sell Agreement under which the corporation or partnership agrees to buy out the interest of a shareholder or partner. Distinguished from a Cross-Purchase Agreement or a Hybrid Agreement.
Remainder Interest
The right given a beneficiary of a trust (or the beneficiary of certain non-trust arrangements, such as life estates or terms for years) to receive the trust fund upon some event, such as the death of another beneficiary.
Reversionary Interest (or Reversion)
A right retained by a trust’s grantor (or by the creator of certain non-trust arrangements, such as life estates or terms for years) to receive the trust fund upon some event, such as the death of the beneficiary.
Right of Survivorship
A right as to property owned as joint tenants or as tenants by the entirety, whereby one joint owner succeeds to the interest of a deceased joint owner.
Self-Settled Trust
A trust, which is established with the funds of the beneficiary – typically, a tort victim or a person receiving an inheritance.
Simple Trust
A trust that is required to distribute all of its income currently, that does not pay principal and that makes no charitable distributions.
Special Allocation
A provision in a partnership agreement by which tax or other benefits are allocated among the partners otherwise than in accordance with their percentages of partnership interest generally.
A gift as to which the Grantor’s spouse elected on a timely gift tax return (filed on or before April 15 of the year after the gift is made) to be treated as the Grantor of one half of the gift, thus enabling the use of the Grantor’s spouse’s Unified Credit and annual gift tax exclusion.
An arrangement under which two persons buy property together, one buying a life interest and the other buying the remainder interest.
Sprinkling Trust
A trust in which the trustee may pay income (and sometimes principal) to any of a number of beneficiaries, usually in any proportions the trustee deems appropriate.
Tenancy by the Entirety
Concurrent Ownership between spouses in which each spouse owns an undivided interest in the whole, with a right of survivorship, and which can be terminated only by the consent of both spouses or the termination of the marital relationship. To form a Tenancy by the Entirety, the fact must be explicitly stated on the deed or other transfer document, otherwise the law presumes that the spouses hold the property as joint tenants.
-- begin --
Crystalline ScZn3Br at its relaxed geometry, computed with PBE-GGA.

Output
* total magnetic moment: 0.000 μB per cell
* energy relative to the lowest polymorph listed for this composition: 0.2369 eV per atom
* raw formation energy: 16.93 kcal/mol of atoms

a b c (Å): 5.0528 5.0528 5.0528
angles (deg): 90.00 90.00 90.00
Last column: nearest neighbours and their distance in Å.
Space group Pm-3m (No. 221)
Unique sites:
Sc 0.0000 0.0000 0.0000 x1  12 Zn 3.57
Zn 0.0000 0.5000 0.5000 x3  2 Br 2.53
Br 0.5000 0.5000 0.5000 x1  6 Zn 2.53

---

Crystalline Sc2ZnBr at its relaxed geometry, computed with PBE-GGA.

Output
* total magnetic moment: 0.000 μB per cell
* energy relative to the lowest polymorph listed for this composition: 0.0149 eV per atom
* raw formation energy: -12.43 kcal/mol of atoms

a b c (Å): 3.7030 3.7030 21.8587
angles (deg): 90.00 90.00 120.00
Last column: nearest neighbours and their distance in Å.
Space group R-3m (No. 166, hexagonal axes)
Unique sites:
Sc 0.0000 0.0000 0.2425 x6  3 Zn 2.70, 3 Br 2.92
Zn 0.0000 0.0000 0.5000 x3  6 Sc 2.70
Br 0.0000 0.0000 0.0000 x3  6 Sc 2.92

---

Crystalline Sc2ZnBr at its relaxed geometry, computed with PBE-GGA.

Output
* total magnetic moment: 0.518 μB per cell
* energy relative to the lowest polymorph listed for this composition: 0.0000 eV per atom
* raw formation energy: -12.77 kcal/mol of atoms

a b c (Å): 3.3420 3.4915 7.7390
angles (deg): 90.00 90.00 90.00
Last column: nearest neighbours and their distance in Å.
Space group Pmmm (No. 47)
Unique sites:
Sc 0.0000 0.0000 0.2040 x2  2 Br 2.84, 4 Zn 2.89, 1 Sc 3.16
Zn 0.5000 0.5000 0.0000 x1  8 Sc 2.89
Br 0.5000 0.0000 0.5000 x1  4 Sc 2.84

---

Crystalline Sc2ZnBr at its relaxed geometry, computed with PBE-GGA.

Output
* total magnetic moment: 0.002 μB per cell
* energy relative to the lowest polymorph listed for this composition: 0.1243 eV per atom
* raw formation energy: -9.91 kcal/mol of atoms

a b c (Å): 3.4001 3.7353 14.0754
angles (deg): 90.00 90.00 90.00
Last column: nearest neighbours and their distance in Å.
Space group Imm2 (No. 44)
Unique sites:
Sc 0.0000 0.0000 0.0000 x2  2 Zn 2.74, 4 Br 2.94
Sc 0.0000 0.5000 0.2786 x2  4 Zn 2.76, 2 Br 2.95
Zn 0.0000 0.5000 0.8580 x2  6 Sc 2.74-2.76
Br 0.0000 0.0000 0.6073 x2  6 Sc 2.94-2.95

---

Crystalline Sc2ZnBr at its relaxed geometry, computed with PBE-GGA.

Output
* total magnetic moment: 12.144 μB per cell
* energy relative to the lowest polymorph listed for this composition: 0.8063 eV per atom
* raw formation energy: 5.82 kcal/mol of atoms

a b c (Å): 7.1726 7.1726 7.1726
angles (deg): 90.00 90.00 90.00
Last column: nearest neighbours and their distance in Å.
Space group F-43m (No. 216)
Unique sites:
Sc 0.0000 0.0000 0.0000 x4  4 Sc 3.11, 4 Zn 3.11
Sc 0.2500 0.2500 0.2500 x4  4 Br 3.11, 4 Sc 3.11
Zn 0.2500 0.2500 0.7500 x4  4 Br 3.11, 4 Sc 3.11
Br 0.0000 0.0000 0.5000 x4  4 Zn 3.11, 4 Sc 3.11

---

Crystalline ScZn2Br6 at its relaxed geometry, computed with PBE-GGA.

Output
-- stop --
Tenancy in Common
A type of Concurrent Ownership of property whereby each party owns an undivided fractional interest in the property, with no right of survivorship. The fractional interest need not be equal. For example, a father could hold a 2/3 interest in land, and the son holds 1/3. Tenancy in Common does not pass outright to the surviving tenant (as does joint tenancy interests) but passes under the respective tenant’s will.
Term Life Insurance
A type of life insurance that provides pure life insurance protection and no cash values.
Here, the trustee is provided with the actual legal title of property – for the benefit of another – with the most extensive powers and the most discretion with respect to exercising those powers. Trustees are held to the highest duty of care and loyalty and are required to exercise their powers only in the best interests of the beneficiaries. Their role is defined and guided by the Trust documents and, if the Trust is silent on an issue, by the extensive Common Law traditions and/or statutory authority, Trusts attempt to anticipate the future, sometimes for several generations, and must be flexible and not rigid to avoid falling apart – and failing to achieve their original intent – when facing the challenges of the future. Consequently, the need for sound thinking, practical experience, reasoned drafting and the right kind of law firm is paramount.
Unfunded Life Insurance Trust
A life insurance trust that holds no significant assets other than a life insurance policy.
Unified Credit
A credit allowed against both the federal estate and gift taxes. To the extent the credit is not used against an individual’s lifetime gift tax liabilities, it is available to offset estate tax obligations. The credit in 2002 was $345,800, equivalent to an exemption of $1 million, and in 2004 it was $1.5 million. It is scheduled to increase for estate tax purposes to an exemption equivalent of $1.5 million in 2004, $2 million in 2006, and $3.5 million in 2009.
Uniform Gifts to Minors Act
A uniform law, adopted in every state, under which gifts of cash or “securities,” and sometimes other types of property, may be given to a named custodian on behalf of a minor Grantee.
Uniform Gifts to Minors Act Custodian
The person who holds property for a minor under the Uniform Gifts to Minors Act.
Uniform Simultaneous Death Act
A uniform law, adopted in every state, that creates a presumption of an order of death when it is impossible to determine which of two related persons died first.
Uniform Transfers to Minors Act
The 1984 revision of the Uniform Gifts to Minors Act, under which more and different types of property may be the subject of gifts to minors through custodians and more types of transfers (by trusts and estates) are permissible.
A will can: designate who should receive certain property, prescribe whether the property should be transferred outright or by other means, coordinate the amount transferred to a spouse, appoint guardians for children, executors and/or trustees, and provide the fiduciaries with adequate powers to carry out the administration of estate assets.